== Brief ==
Now find the line underneath that holds "-10.70627", then repeat that line and all lines after it there.

== Contents ==
+++
# 1
35
Properties=species:S:1:pos:R:3 method="wB97M-V/def2-TZVPD" relative_energy_kcal_mol=14.5 e_lumo_ev="-0.4 / -7.4" energy_ha=-791.3431 homo_lumo_gap_ha="0.4009 / 0.1397" multiplicity=2 homo_energy_ev="-11.32 / -11.20" charge=0
B 8.90025 -17.56649 -11.74531
H 9.27730 -16.60713 -12.06422
H 8.62182 -17.48218 -10.70627
H 8.04796 -17.83888 -12.34835
H 9.64318 -18.33249 -11.90514
O 13.16157 -18.80820 -12.82614
H 12.21314 -18.93474 -12.79942
H 13.52074 -19.69433 -12.87097
O 6.82390 -15.48761 -10.97240
H 7.39909 -16.22284 -11.18413
H 6.55150 -15.64846 -10.06898
O 9.69357 -14.45555 -12.82082
H 9.55356 -14.48935 -13.76713
H 9.43108 -15.32139 -12.50831
O 7.35586 -15.58639 -14.35307
H 7.81367 -16.42692 -14.34110
H 7.45162 -15.27374 -15.25269
O 10.35274 -19.65887 -13.94322
H 9.93763 -19.55168 -14.79903
H 9.85546 -19.08386 -13.36158
O 11.85484 -16.45836 -11.86797
H 11.20574 -16.95601 -11.37073
H 11.33658 -15.88240 -12.43005
O 5.90812 -18.96427 -11.96349
H 6.37090 -18.88611 -11.12925
H 6.55604 -18.71311 -12.62180
O 10.46862 -16.46362 -9.14521
H 9.65336 -16.60867 -9.62535
H 10.64589 -15.52885 -9.25017
O 7.01083 -18.61027 -9.20193
H 7.73339 -18.53255 -9.82491
H 6.82620 -17.70979 -8.93498
O 10.28264 -20.98333 -11.45264
H 10.01383 -20.17947 -11.00791
H 10.34293 -20.73812 -12.37594


# 2
15
Properties=species:S:1:pos:R:3 method="wB97M-V/def2-TZVPD" e_lumo_ev="-10.7 / -10.6" energy_ha=-2430.0825 homo_lumo_gap_ha="0.2401 / 0.2450" multiplicity=7 homo_energy_ev="-17.27 / -17.28" charge=+2
N 2.30099 -1.05584 0.32382
B 1.57567 0.05292 -0.29561
O 2.01824 1.40547 -0.13425
S -0.00058 -0.44270 -1.25772
O -0.35726 -1.85017 -1.01671
O 0.40107 -0.24338 -2.66637
N -1.33856 0.64152 -1.01609
S -2.11030 0.40334 0.43875
O -1.30041 -0.35880 1.48716
O -2.36814 1.85848 1.01928
I -4.29458 -0.62036 0.28527
H 2.62422 -1.70754 -0.39413
H 1.59008 -1.56156 0.85430
H 1.87161 1.61011 0.79246
Tb -0.61206 1.86850 1.57985


# 3
16
Properties=species:S:1:pos:R:3 method="wB97M-V/def2-TZVPD" relative_energy_kcal_mol=20.3 e_lumo_ev=1.3 energy_ha=-2308.3205 homo_lumo_gap_ha=0.2612 homo_energy_ev=-5.78 charge=-1
Ba 0.53582 0.46786 -1.37116
Cl 2.14192 -1.81617 0.17840
O 2.48140 -2.92970 0.95867
O 3.20828 -0.93306 -0.09273
O 1.51725 -1.99258 -1.06140
O 1.18537 -1.04406 0.91995
Cl 0.00438 3.35270 -0.20188
O 0.06940 2.14536 0.58147
O 0.74356 3.13387 -1.41468
O -1.34833 3.77999 -0.51927
O 0.61140 4.44491 0.55841
Cl -2.10056 -1.69500 0.30119
O -1.34901 -2.86975 0.16645
O -1.89108 -0.58584 -0.55156
O -3.57238 -2.15123 -0.08625
O -2.23743 -1.30730 1.63439


# 4
26
Properties=species:S:1:pos:R:3 method="wB97M-V/def2-TZVPD" relative_energy_kcal_mol=72.2 e_lumo_ev=6.3 energy_ha=-3830.0481 homo_lumo_gap_ha=0.3042 homo_energy_ev=-2.02 charge=-3
Ba -0.73291 -0.20377 0.19421
Cl 2.51504 -2.62419 -1.03412
O 2.80683 -3.80855 -0.37979
O 3.41830 -1.57676 -0.96554
O 2.21552 -2.79324 -2.41776
O 1.37079 -2.10377 -0.25789
Cl -1.16528 -0.03587 -3.94522
O -0.67868 0.18271 -2.57444
O -1.30198 1.25919 -4.65795
O -0.47149 -1.13020 -4.65379
O -2.50200 -0.51889 -3.91477
Cl 1.60029 -1.16554 3.42554
O 2.54846 -1.78006 2.52744
O 0.39619 -1.09608 2.70247
O 1.44022 -2.13124 4.54578
O 1.70009 0.23494 4.01602
Cl -4.97829 1.06442 0.83562
O -5.13183 1.54792 2.10844
O -5.20222 2.10099 -0.05572
O -3.61509 0.52050 0.59007
O -5.94229 0.07447 0.75053
Cl 2.38716 2.87111 0.58251
O 3.44042 2.14963 -0.01122
O 2.56797 2.83639 1.95905
O 2.04935 4.14335 0.24418
O 1.26542 1.98253 0.38634


# 5
28
Properties=species:S:1:pos:R:3 method="wB97M-V/def2-TZVPD" relative_energy_kcal_mol=711.9 e_lumo_ev=-6.8 energy_ha=-711.9593 homo_lumo_gap_ha=0.2775 homo_energy_ev=-14.36 charge=+2
Ba 0.01165 0.04228 -0.01997
O -0.15648 -0.18222 -2.13212
H -0.46980 0.27933 -2.90996
H -0.56782 -1.04503 -2.18306
O -0.37302 -1.90991 -0.53610
H 0.00732 -2.46739 -1.21490
H -0.76195 -2.52287 0.08779
O -1.07693 1.70105 -0.37299
H -0.61508 2.50538 -0.13639
H -1.45381 1.88496 -1.23343
O -0.84873 0.75203 1.58960
H -0.54746 1.31978 2.29893
+++

== Solution ==
H 8.62182 -17.48218 -10.70627
H 8.04796 -17.83888 -12.34835
H 9.64318 -18.33249 -11.90514
O 13.16157 -18.80820 -12.82614
H 12.21314 -18.93474 -12.79942
H 13.52074 -19.69433 -12.87097
O 6.82390 -15.48761 -10.97240
H 7.39909 -16.22284 -11.18413
H 6.55150 -15.64846 -10.06898
O 9.69357 -14.45555 -12.82082
H 9.55356 -14.48935 -13.76713
H 9.43108 -15.32139 -12.50831
O 7.35586 -15.58639 -14.35307
H 7.81367 -16.42692 -14.34110
H 7.45162 -15.27374 -15.25269
O 10.35274 -19.65887 -13.94322
H 9.93763 -19.55168 -14.79903
H 9.85546 -19.08386 -13.36158
O 11.85484 -16.45836 -11.86797
H 11.20574 -16.95601 -11.37073
H 11.33658 -15.88240 -12.43005
O 5.90812 -18.96427 -11.96349
H 6.37090 -18.88611 -11.12925
H 6.55604 -18.71311 -12.62180
O 10.46862 -16.46362 -9.14521
H 9.65336 -16.60867 -9.62535
H 10.64589 -15.52885 -9.25017
O 7.01083 -18.61027 -9.20193
H 7.73339 -18.53255 -9.82491
H 6.82620 -17.70979 -8.93498
O 10.28264 -20.98333 -11.45264
H 10.01383 -20.17947 -11.00791
H 10.34293 -20.73812 -12.37594


# 2
15
Properties=species:S:1:pos:R:3 method="wB97M-V/def2-TZVPD" e_lumo_ev="-10.7 / -10.6" energy_ha=-2430.0825 homo_lumo_gap_ha="0.2401 / 0.2450" multiplicity=7 homo_energy_ev="-17.27 / -17.28" charge=+2
N 2.30099 -1.05584 0.32382
B 1.57567 0.05292 -0.29561
O 2.01824 1.40547 -0.13425
S -0.00058 -0.44270 -1.25772
O -0.35726 -1.85017 -1.01671
O 0.40107 -0.24338 -2.66637
N -1.33856 0.64152 -1.01609
S -2.11030 0.40334 0.43875
O -1.30041 -0.35880 1.48716
O -2.36814 1.85848 1.01928
I -4.29458 -0.62036 0.28527
H 2.62422 -1.70754 -0.39413
H 1.59008 -1.56156 0.85430
H 1.87161 1.61011 0.79246
Tb -0.61206 1.86850 1.57985


# 3
16
Properties=species:S:1:pos:R:3 method="wB97M-V/def2-TZVPD" relative_energy_kcal_mol=20.3 e_lumo_ev=1.3 energy_ha=-2308.3205 homo_lumo_gap_ha=0.2612 homo_energy_ev=-5.78 charge=-1
Ba 0.53582 0.46786 -1.37116
Cl 2.14192 -1.81617 0.17840
O 2.48140 -2.92970 0.95867
O 3.20828 -0.93306 -0.09273
O 1.51725 -1.99258 -1.06140
O 1.18537 -1.04406 0.91995
Cl 0.00438 3.35270 -0.20188
O 0.06940 2.14536 0.58147
O 0.74356 3.13387 -1.41468
O -1.34833 3.77999 -0.51927
O 0.61140 4.44491 0.55841
Cl -2.10056 -1.69500 0.30119
O -1.34901 -2.86975 0.16645
O -1.89108 -0.58584 -0.55156
O -3.57238 -2.15123 -0.08625
O -2.23743 -1.30730 1.63439


# 4
26
Properties=species:S:1:pos:R:3 method="wB97M-V/def2-TZVPD" relative_energy_kcal_mol=72.2 e_lumo_ev=6.3 energy_ha=-3830.0481 homo_lumo_gap_ha=0.3042 homo_energy_ev=-2.02 charge=-3
Ba -0.73291 -0.20377 0.19421
Cl 2.51504 -2.62419 -1.03412
O 2.80683 -3.80855 -0.37979
O 3.41830 -1.57676 -0.96554
O 2.21552 -2.79324 -2.41776
O 1.37079 -2.10377 -0.25789
Cl -1.16528 -0.03587 -3.94522
O -0.67868 0.18271 -2.57444
O -1.30198 1.25919 -4.65795
O -0.47149 -1.13020 -4.65379
O -2.50200 -0.51889 -3.91477
Cl 1.60029 -1.16554 3.42554
O 2.54846 -1.78006 2.52744
O 0.39619 -1.09608 2.70247
O 1.44022 -2.13124 4.54578
O 1.70009 0.23494 4.01602
Cl -4.97829 1.06442 0.83562
O -5.13183 1.54792 2.10844
O -5.20222 2.10099 -0.05572
O -3.61509 0.52050 0.59007
O -5.94229 0.07447 0.75053
Cl 2.38716 2.87111 0.58251
O 3.44042 2.14963 -0.01122
O 2.56797 2.83639 1.95905
O 2.04935 4.14335 0.24418
O 1.26542 1.98253 0.38634


# 5
28
Properties=species:S:1:pos:R:3 method="wB97M-V/def2-TZVPD" relative_energy_kcal_mol=711.9 e_lumo_ev=-6.8 energy_ha=-711.9593 homo_lumo_gap_ha=0.2775 homo_energy_ev=-14.36 charge=+2
Ba 0.01165 0.04228 -0.01997
O -0.15648 -0.18222 -2.13212
H -0.46980 0.27933 -2.90996
H -0.56782 -1.04503 -2.18306
O -0.37302 -1.90991 -0.53610
H 0.00732 -2.46739 -1.21490
H -0.76195 -2.52287 0.08779
O -1.07693 1.70105 -0.37299
H -0.61508 2.50538 -0.13639
H -1.45381 1.88496 -1.23343
O -0.84873 0.75203 1.58960
H -0.54746 1.31978 2.29893